H Class of 2024
A showcase of some projects from the class of 2023-24.
There were too many students on the module this year to show all projects, so here are a few highlights. Many creative, fun, interesting, challenging visualisation projects were produced but aren’t shown here, but these few give a flavour of what student’s got up to:
Rachel (looked at Contraception use since the 90s](https://rgatley.github.io/Contraception/). (Repo):
More trees! The Growth of Woodland Area within the United Kingdom (1998-2023) (Repo)
Tom looked at the Relationship Between Major Airport Locations and UFO Sightings in Mainland USA (Repo))
Max asked Can national football results really have an impact on UK stock market values?. tl;dr - if they do, it isn’t a large effect (which is why attending to the y-axis range is important in interpreting visualisations) (Repo):
One of the more sophisticated projects we’ve ever seen, which really showcases what is possible with when advanced data scraping, managemetn and visualisation are combined in a dashboard. Justin’s project How do the perspectives of UK university students, as expressed on Reddit, evolve over time? is beyond what we teach on this course, but we’re happy we can support students to do more advanced work as part of the module. (Repo)
Carlos showed off R’s capacity for scientific data visualisation, re-visualising his undergraduate project data on The effects of calcium modulators on TDP-43 function and development of a new co-localization protocol in ALS cellular models (Repo)
Abi made good use of thematic colour and shape in this plot of US honey production. US Honey Production 1998-2018 (Repo:
H.1 Reflection
This year we welcomed Hazel Gordon as GTA on the course.The comments from those taking the course make clear how much of a contribution she made - thank you Hazel!
H.1.1 Tom’s reflection
Feedback was mostly positive, and - as always - we continue to work on the course to improve it based on how it is experienced by each year of students.
This year we had a number of comments on what else could be included in the course: SQL, more on interactive and animated plots, and python. We’ll keep these in mind for future iterations of the course. As in previous years, the part which students found hardest was github. As in previous years, I’m going to keep teaching it because it is still vital infrastructure for data science.
H.1.2 Student feedback
Below, a (very biased) selection of student feedback
“I believe that the hands-on, project-based approach, emphasis on reproducibility and open- source tools, and inclusion of advanced topics in this course all make for a really rich and engaging learning experience for students. I truly believe that these elements can be served as a model for other courses, helping to enhance student engagement and skill development in the field of data science and research methods.”
I’ve always really loved the problem solving element of coding and the way that this course is set up you really get a chance to explore that side of things playing around with each new technique in the class environment with help at hand. The live coding was really useful and having the course materials all available on GitHub was super useful when building the project.
I enjoyed the classes, I thought that they were really well taught and Tom was very helpful and enthusiastic about the topic which definitely helped build my confidence when doing something completely new to me. I found the workshop style of the classes the most useful, this could definitely be applied to other courses as it’s much better to do active/hands-on learning than passive listening.
I really enjoyed the freedom of being able to choose a project that interested me. It really motivated me to stick to it when i was struggling with things.
something about the course that really helped my understanding was having set exercices to go through during the class, as well as the opportunity to ask the course leaders about anything we’re unsure on.
I really enjoyed how hands-on and practical the course was. By learning both the principles and techniques involved in coding, I understood how important it was to consider the intent of your message and how it influenced design choices, statistical tools and output formation in my projects. I especially enjoyed the class where students submitted interesting visualizations and we discussed its merits and demerits, giving me the confidence to share my opinions while listening and learning from my peers.
I found that the live coding was helpful especially the session where Tom created a project from scratch from downloading the data to uploading it on Github.
I liked the encouragement to use chat GPT, this is a skill I will use alot in the future, I think this could be shown more in class, specifically how to ask chat GPT the right questions and when to use other online resources.
### Crystal structures, kept here for reference
'''
Version A
# TlSbAs

Crystalline TlSbAs at its relaxed geometry (GGA-PBEsol, Alexandria).

POSCAR file:
```
TlSbAs
1.0
3.633 0.000 0.000
0.000 3.633 0.000
0.000 0.000 11.743
Tl Sb As
2 2 2
Direct
0.000 0.000 0.000
0.500 0.500 0.500
0.000 0.000 0.291
0.500 0.500 0.791
0.000 0.000 0.687
0.500 0.500 0.187
```

Output
- magnetic moment (μB/cell) = 0.000


Version B
# TlSbAs

Crystalline TlSbAs at its relaxed geometry (GGA-PBEsol, Alexandria).

POSCAR file:
```
TlSbAs
1.0
3.802 0.000 0.000
-1.901 3.293 0.000
0.000 0.000 6.554
Tl Sb As
1 1 1
Direct
0.000 0.000 0.000
0.667 0.333 0.405
0.333 0.667 0.648
```

Output
- magnetic moment (μB/cell) = 0.000


Version C
# TlSbAs

Crystalline TlSbAs at its relaxed geometry (GGA-PBEsol, Alexandria).

POSCAR file:
```
TlSbAs
1.0
5.165 0.000 0.000
-2.582 4.473 0.000
0.000 0.000 3.207
Tl Sb As
1 1 1
Direct
0.000 0.000 0.000
0.667 0.333 0.500
0.333 0.667 0.500
```

Output
- magnetic moment (μB/cell) = 0.000


version B is the most stable structure; the next one sits 0.008 eV/atom above it.


Version A
# YSbAs

Crystalline YSbAs at its relaxed geometry (GGA-PBEsol, Alexandria).

POSCAR file:
```
YSbAs
1.0
6.954 0.000 0.000
0.000 6.954 0.000
0.000 0.000 6.954
Y Sb As
4 4 4
Direct
0.000 0.000 0.000
0.000 0.500 0.500
0.500 0.000 0.500
0.500 0.500 0.000
0.250 0.250 0.750
0.250 0.750 0.250
0.750 0.250 0.250
0.750 0.750 0.750
0.250 0.250 0.250
0.250 0.750 0.750
0.750 0.250 0.750
0.750 0.750 0.250
```

Output
- magnetic moment (μB/cell) = 0.004


Version B
# YSbAs

Crystalline YSbAs at its relaxed geometry (GGA-PBEsol, Alexandria).

POSCAR file:
```
YSbAs
1.0
6.823 0.000 0.000
0.000 6.823 0.000
0.000 0.000 6.823
Y Sb As
4 4 4
Direct
0.000 0.000 0.000
0.000 0.500 0.500
0.500 0.000 0.500
0.500 0.500 0.000
0.000 0.000 0.500
0.000 0.500 0.000
0.500 0.000 0.000
0.500 0.500 0.500
0.250 0.250 0.250
0.250 0.750 0.750
0.750 0.250 0.750
0.750 0.750 0.250
```

Output
- magnetic moment (μB/cell) = 0.001


version B is the most stable structure; the next one sits 0.069 eV/atom above it.


Version A
# ZnSbAs2

Crystalline ZnSbAs2 at its relaxed geometry (GGA-PBEsol, Alexandria).

POSCAR file:
```
ZnSbAs2
1.0
3.847 0.000 0.000
0.000 5.204 0.000
0.000 0.000 7.990
Zn Sb As
2 2 4
Direct
0.000 0.000 0.000
0.500 0.500 0.000
0.000 0.500 0.262
0.500 0.000 0.262
0.000 0.000 0.546
0.000 0.500 0.784
0.500 0.000 0.784
0.500 0.500 0.546
```

Output
- magnetic moment (μB/cell) = 0.000


Version B
# ZnSbAs2

Crystalline ZnSbAs2 at its relaxed geometry (GGA-PBEsol, Alexandria).

POSCAR file:
```
ZnSbAs2
1.0
3.991 0.000 0.000
0.000 5.462 0.000
0.000 0.000 7.523
Zn Sb As
2 2 4
Direct
0.000 0.000 0.000
0.500 0.500 0.500
0.000 0.000 0.500
0.500 0.500 0.000
0.000 0.500 0.289
0.000 0.500 0.711
0.500 0.000 0.211
0.500 0.000 0.789
```

Output
- magnetic moment (μB/cell) = 0.000


version B is the most stable structure; the next one sits 0.039 eV/atom above it.


Version A
# ZnSb2As

Crystalline ZnSb2As at its relaxed geometry (GGA-PBEsol, Alexandria).
'''
The most important factor that helped my learning was the lecturer’s enthusiastic approach to coding. As a computer science undergraduate who despised coding, I surprisingly really enjoyed coding this assignment, due to the simplified, clear lecture material and the encouragement to keep trying to find solutions from the teaching staff. Other courses should utilise this approach to ensure students remain engaged and confident in their work.
H.1.3 Useful links
I asked students what resources they found useful. Here’s a partial list:
H.1.3.1 Videos
dataslice YouTube tutorials youtube.com/(dataslice?)
R Programming 101 - YouTube. (n.d.). Www.youtube.com. https://www.youtube.com/ (RProgramming101?)
Youtube Playlist: “Where are your eyes drawn? Makeover series” Where are your eyes drawn? makeover series - YouTube https://www.youtube.com/playlist?list=PLwEff2aXpeWsdvonP3voif0acubN3XKmA
H.1.3.2 Pages
The Anatomy of a Shiny Application https://www.r-bloggers.com/2021/04/the-anatomy-of-a-shiny-application/
Luna, J.C. (2023). 11 Data Visualization Techniques for Every Use-Case with Examples. Data Visualization. https://www.datacamp.com/blog/data-visualization-techniques
Dwi Cahyaningtyas, R. (2023, May 28). RPubs - R Markdown Themes Guide: Unleash Your Creativity with Captivating Document Styles. Rpubs.com. https://rpubs.com/ranydc/rmarkdown_themes
Holtz, Y. (2018). The R Graph Gallery – Help and inspiration for R charts. The R Graph Gallery. https: //r-graph-gallery.com/
H.1.3.3 Books & articles
Healy, K. (2018). Data Visualization: A Practical Introduction. Princeton University Press.
Wickham, H., & Grolemund, G. (2017). R for data science [electronic resource]: import, tidy, trans- form, visualize, and model data. O’Reilly. Retrieved from https:// r4ds.hadley.nz/
Wickham, H. (2014). Tidy data. Journal of Statistical Software, 59(10), 1-23. DOI: 10.18637/jss.v059.i10
Li Q. (2020). Overview of Data Visualization. Embodying Data: Chinese Aesthetics, Interactive Visualiza- tion and Gaming Technologies, 17-47. https://doi.org/10.1007/978-981-15-5069-0_:
Midway, S. R. (2020). Principles of effective data visualization. Patterns, 1 (9). https://doi.org/10.1016/j.patter.2020.100141
McCosker, A., & Wilken, R. (2014). Rethinking ‘big data’ as visual knowledge: The sublime and the diagrammatic in data visualisation. Visual Studies, 29(2), 155–164. https://doi.org/10.1080/1472586X. 2014.887268
H.1.3.4 “what advice would you give someone starting this course?”
I also asked for advice worth giving to future students:
My advice for anybody who does not like computers: Get stuck into your assessment. You’ll learn along the way. Overthinking R its self got me nowhere. Starting on my project did.
Definitely come to class and actively participate. It makes such a difference when you can ask questions in person and see on the board what is happening. I would advise that you start like a code “cheat shect” so you have a place to write down any codes that may be helpful in the future. It makes it a lot easier when you’re trying to remember how do write a code out correctly.
Attend every single session and make sure you complete each exercise thats given. This helps your under- standing so much and will be extremely useful for when it comes to completing your own project. Also don’t be afraid to ask questions if there is something you genuinely don’t understand or can’t figure out how to do.
Don’t be intimidated at the start - as someone with no coding experience the amount of progress that can be made is great. Take the time to understand the fundamentals of R at the start and things further down the line will be a lot easier.
don’t be afraid to experiment and make mistakes.
Use chat GPT!! Ask it anything, your error codes, how to make code more sophisticated etc. . . you can always ask chat GPT to explain the code and break it down fo you so you fully understand its function. It will use placeholders for lots of stuff so you will learn where to put your file names etc. . . Dont be scared, try to have fun with the code, you can always comment out your previous code for new stuff. Oh, and to undo its Ctrl + z.
Divide the work for the final project early on, make sure you do something every week (during the teaching weeks) & something everyday (during the break). Tom has made sure we have excellent resources for every aspect of the course, make sure you make use of it!
Don’t be scared to try things! If it doesn’t work out, there’s always another way. Remember, it’s all a matter of trial and error, so the only thing you really need for this course is patience!
Do start on your project as early as the instructions were given. Once you have your data and a simple graph ready, you will be able to improve your visualisation as you are being introduced to more advanced coding. In addition, you will have more time to solve any existing errors and perfect your graphs if you start early. Choose data that you are really interested in to produce a visually pleasing graph.